

Sunday meeting recap

Last Sunday's meeting of the Backwards Beekeepers featured a demo of a great trap-out method by Roberta, tales of a precarious bee rescue by Max, and a new hive stand by Maurice.

If you're interested in getting started with beekeeping, our monthly meeting is a great way to get introduced to the process.

And here's Kirk modeling the new Backwards Beekeepers hoodie, which made its debut at Sunday's meeting and is available only as a special order. Keep an eye on the blog for your next opportunity to get one.

Local Honey Dinner at Canele Tonight!


I'll be cooking a 3-course local honey-driven dinner at Canele Restaurant in Atwater Village tonight as part of their "Friends Cook" program.

The menu is below...hope you can make it!


    Feral Honey, Silver Lake (May Harvest)

    with honeyed corn pudding & something green
    Feral Honey, Silver Lake (June Harvest)

    Kirk’s Urban Honey, Eagle Rock (Kirk Anderson) -
    Sticky Acres, Mt. Washington (Max Wong) -
    Camp Waterloo, Echo Park (Sue Talbot)
    Feral Honey, Silver Lake (Russell Bates & Amy Seidenwurm) -

* Non-meat eaters will get shell beans instead of chicken.


Next Meeting: Sunday, August 29th!

The August Backwards Beekeepers meeting is upon us!

When: Sunday, August 29 at 11am
Where: Under Spring outdoor space at Farmlab in downtown L.A.

    Come on down! Everyone is welcome.

    We'll also have Backwards Beekeepers t-shirts for sale—including size XXL! All shirts cost $15. And if you ordered a Backwards Beekeepers hoodie a few weeks ago, it will be at the meeting for you to pick up.

    Farmlab Directions

    You want to follow the above directions most of the way, but park on Aurora and walk through the alley (under Spring) to the meeting.

    Check out this view to see what it looks like from the street.


    Mother Nature Network visits the Backwards Beekeepers

    Rachel Whitman, who blogs for Mother Nature Network, paid us a visit recently and wrote a nice piece about the experience.

    During my visit to the Feral Bee hives, Russell and Amy introduced me to Los Angeles honey bee wrangler extraordinaire, Kirk Anderson. Kirk has a ton of experience with bees, and is an excellent ambassador for the Backwards Beekeepers. His bee-loving spirit is infectious, and his way with hives is amazing. Kirk urged me to check out one of his inspirations, the apiarist Charles Martin Simon, who's a pretty intense guy. Simon grapples with the full spectrum of honey bee behavior: the swarming, the social order, the naturally occurring wisdom and the wildness that leads to their inexplicable, sometimes fatal decisions. Tending honey bee hives as Simon does is not just about entomology — it holds a touch of philosophy, as well.

    Suffice it to say, I'm hooked. And in my quest to become more environmentally connected in the urban jungle that is Los Angeles, and to share my eco-adventures with the MNN audience, I joined the Backwards Beekeepers Yahoo! Group and am planning to mix and mingle with them and others interested in local agriculture and the like at the meeting later this month.

    Bees Gone Wild (Mother Nature Network)


    Kirk's travels: Wax moths, absconding bees, victory

    Kirk says:
    OK had a busy week. I decided to go to Jody's those bees never ever got going. I found wax worms. I cut all the stuff out. They ate every bit of comb—everything.

    So I say I'm going to get the garbage can bees and take them to Jody's. The kids met me there at 4 in the morning to watch. But the bees from the garbage can had left—no bees.

    Lucky for me I had removed some bees from a water meter box in La Crescenta the day before, and I had them with me.

    I took them to Jody's and put them on a hive box.

    I'll go put them in the hive this next week end.


    Here's Kirk's audio of the story:


    Foundationless success in Canada

    Check out Phillip, who blogs about beekeeping (among other things) from St. Johns, Newfoundland, Canada—he's finding success as a Backwards Beekeeper in a place with a very short summer indeed.
    The foundationless frames are working. YES! This is what it’s all about it. This was the big moment of truth — and they did it. The bees had no problem building comb from foundationless frames...

    Next summer when we can hopefully harvest some honey, we’ll go with foundationless frames for the honey supers too.

    That way when the honey is capped and good to go, we’ll just cut the comb right out of the frames and extract it by following the crush-and-strain method.

    I’m feeling encouraged by what we’ve seen today. I’d love to be the first successful Backwards Beekeeper in Newfoundland.

    Natural Foundationless Comb (Phillip on Mud Songs)


    Finishing a cut-out job

    LA Backwards Beekeeper Roberta, working with new beekeeper Julia (above), follows up on her previous post about the Pomegranate bees meeting the wall bees:
    I went back to Peter's wall because there were still bees everywhere a week after Patrick and I cut out the hive.

    Julia, a senior in high school, wants to become a beekeeper. She is brave, smart and a natural with the bees. It looked like they were higher up in the wall so we took more siding down. There were a whole bunch of bees and what looked like a second hive!

    I scooped a whole bunch of bees into a box and pulled out several pieces of comb. There were bees everywhere but in 10 minutes they were all in the box so we knew we had the queen.

    After 5 hours they were mostly in the box and by the night every single bee was home. Julia is going to be a great beekeeper and is ready to have her own hive. The bees now have a new home at Penny's.



    Bees are not garbage

    Kirk went to San Gabriel to rescue a bee hive that had made its home in a garbage can.

    While there, he met Sebastian and Kathryn, who wanted to lend a hand.

    Here's Kirk telling the story:

    Here's Sebastian's side of things:

    And Kathryn adds:


    Pomegranate bees, meet wall bees

    LA Backwards Beekeeper Roberta is a force of nature!

    Her latest dispatch:
    Patrick [above] needed a colony for his new custom hive. So we went to cut out a hive from a pomegranate tree which was really pretty but with twigs in it every which way.

    The bees were very grumpy and possibly queenless as the brood was all over the place with lots of drones and no eggs. There were also several queen cells.

    After we tied in the comb the bees seemed to really like Patrick's new hive. But we weren't sure if there was a queen so I thought adding some brood from a cut out might help.

    This brings us to Peter, who had a wall hive that he wanted cut out because he started to hear the bees chewing the wall from inside the house: possible brood for Patrick's bees!

    After cutting away the siding we found nice brood comb sandwiched between lots of honey. The bees were covered with the honey and they were busy cleaning each other off.

    Patrick took some brood and I put some brood in a box with the hope that maybe the queen was in there but no such luck. The bees went back into the wall. So this cut-out is a work in progress.


    ‘Beyond the Hive’ - A Hotel for Insects

    Arup Associates has won a competition to design a hotel for insects. ‘Beyond the Hive’ was sponsored by British Land and the City of London to celebrate 2010 as the International year of Biodiversity.

    Full article: 'Beyond the Hive’ - A Hotel for Insects


    What have we here?

    Over at The Buzz In The Dale, Lawndale Backwards Beekeeper Dennis writes about an odd-looking visitor in his yard:
    I have no idea what his real name or call name is but he looks like a moth pretending to be a bee, maybe a bumble bee. I have never seen any bumble bees around here but no one told him that.

    I don't know what he is but he is kind of cool looking with those big eyes and wide stripes. He never moved at all while I was taking pictures. When I went back much later he was long gone.

    Faux Bee (The Buzz In The Dale)

    Who can fill us in on this?

• These data records were left in the article by mistake:
+++
Record 1
The following is a quantum chemistry calculation of 6 unconnected molecules or ions with the total composition C24H31Cl2N6PS in a non-equilibrium geometry, from the OMol25 dataset.

## Properties
- HOMO level: -7.895 eV
- SMILES: C[C@@H](Cl)[C@@H](Cl)PN=C=S.c1cc[nH]c1.c1cc[nH]c1.c1cc[nH]c1.c1cc[nH]c1.c1cc[nH]c1
- Kohn-Sham gap: 7.6 eV
- F_max: 1.83 eV/Å

```
! wB97M-V def2-TZVPD RIJCOSX def2/J DEFGRID3
* xyz 0 1
C 0.71 2.06 4.75
C -0.55 1.68 4.02
Cl -0.18 1.69 2.26
C -1.10 0.29 4.37
Cl -1.31 0.16 6.14
P -2.81 0.01 3.63
N -3.87 0.76 4.84
C -4.01 1.96 4.67
S -4.05 3.51 4.81
H 1.00 3.07 4.50
H 1.51 1.39 4.45
H 0.57 1.97 5.81
H -1.33 2.39 4.22
H -0.42 -0.49 4.06
H -2.80 0.97 2.59
N -0.73 3.89 -0.22
C -0.32 5.19 -0.30
C -0.49 5.61 -1.59
C -1.03 4.52 -2.32
C -1.17 3.47 -1.45
H -0.72 3.32 0.60
H 0.06 5.70 0.57
H -0.25 6.59 -1.97
H -1.28 4.51 -3.37
H -1.54 2.47 -1.60
N 1.86 2.94 -3.39
C 1.04 2.34 -4.30
C 1.72 1.29 -4.86
C 3.01 1.25 -4.26
C 3.06 2.28 -3.36
H 1.62 3.73 -2.83
H 0.04 2.70 -4.47
H 1.34 0.62 -5.62
H 3.80 0.55 -4.47
H 3.85 2.60 -2.70
N -1.12 -3.18 6.21
C 0.07 -3.84 6.11
C -0.12 -5.14 6.51
C -1.50 -5.26 6.86
C -2.08 -4.04 6.66
H -1.27 -2.22 5.98
H 0.96 -3.33 5.77
H 0.63 -5.90 6.55
H -1.99 -6.15 7.22
H -3.10 -3.72 6.80
N 0.96 -0.35 -0.37
C 0.17 -0.92 -1.32
C 0.90 -1.90 -1.95
C 2.19 -1.91 -1.34
C 2.20 -0.94 -0.37
H 0.69 0.40 0.24
H -0.84 -0.59 -1.48
H 0.56 -2.53 -2.75
H 3.02 -2.55 -1.59
H 2.97 -0.63 0.31
N -0.38 -4.24 -6.71
C -0.02 -3.52 -5.61
C 0.59 -2.37 -6.04
C 0.59 -2.41 -7.46
C -0.02 -3.57 -7.84
H -0.85 -5.13 -6.69
H -0.22 -3.88 -4.61
H 0.99 -1.60 -5.41
H 0.99 -1.66 -8.12
H -0.22 -3.98 -8.82
*
```

Record 2
The following is a quantum chemistry calculation of 2 unconnected molecules or ions with the total composition C5H11O in a non-equilibrium geometry, from the OMol25 dataset.

## Properties
- HOMO level (spin up / spin down): -7.949 / -8.779 eV
- Energy relative to the best compared isomer or geometry (same formula, charge and spin): 37.20 kcal/mol
- Kohn-Sham gap (spin up / spin down): 9.0 / 9.4 eV
- F_max: 1.86 eV/Å
- ⟨S²⟩: 0.754

```
! wB97M-V def2-TZVPD RIJCOSX def2/J DEFGRID3
* xyz 0 2
C -4.27 -1.76 -0.78
C -4.49 -0.30 -0.77
H -4.01 -2.28 -1.70
H -4.48 -2.36 0.11
H -4.85 0.08 -1.74
H -5.27 0.00 -0.03
C -2.51 3.78 -0.71
O -1.39 2.91 -0.76
C -1.35 1.93 0.18
C -0.28 1.12 0.29
H -2.33 4.58 -1.44
H -3.43 3.25 -0.98
H -2.62 4.23 0.29
H -3.57 0.30 -0.49
H -0.23 0.43 1.13
H 0.48 1.07 -0.49
H -2.06 2.05 1.01
*
```

Record 3
The following is a quantum chemistry calculation of a molecular structure, C5H12NO in a non-equilibrium geometry, from the OMol25 dataset.

## Properties
- HOMO level: -1.410 eV
- Energy relative to the best compared isomer or geometry (same formula, charge and spin): 138.74 kcal/mol
- Kohn-Sham gap: 3.8 eV
- F_max: 2.67 eV/Å

```
! wB97M-V def2-TZVPD RIJCOSX def2/J DEFGRID3
* xyz -1 1
C -4.00 -0.66 -0.94
N -3.67 0.06 0.31
C 0.76 0.56 0.11
C 1.98 0.24 0.70
C 3.19 0.11 -0.17
O 2.89 -0.93 -1.00
C -0.42 0.76 1.02
+++


    Viewer mail

    Just found this website...I LOVE IT. I want to know when the next meeting is in either Aug. or Sept.

    I live in the San Fernando Valley and I am ready to attend your classes to start a beehive. So sign me up!!! I have wanted to learn about beekeeping since I was a kid.


    It looks like the next meeting will be Sunday, August 29th at 11am.

    Location: The usual—downtown LA's Farmlab.

    Stay tuned for the official word.


    New beekeeper gets a tree hive

    LA Backwards Beekeeper Roberta writes:

    David is a new spectacular beekeeper. He went to a Backwards Beekeepers meeting in July and the next week he went with Erik to get his hive. He ordered his suit but couldn't wait to get started. He caught a bad case of bee fever.

    He found Janet who had a hive in her bottle brush tree about 9ft high. We started in the evening and with some careful planning we decided to cut the hive down and leave it intact. To be honest I would have never done it myself.

    David put a laundry net bag ever his head and simulutaneously held the branch with one hand and cut the branch with loppers with the other! I was just there to smoke, cut a few twigs and hold the light. I couldn't bare starting a 9pm cutout so the hive went into a box with the branch poking out. There wasn't a single bee flying around.

    Janet got up close and personal with the bees and seemed a little sad to see them go.

    This is close to one of the best bee experiences that I've had so far. More pics later when we do the cut out. Thanks to David and Janet for making it so fun.

    - roberta


    Viewer mail

    Jack in Los Altos writes:
    Hey Kirk,

    Just recently found your blog and I have to say it's awesome! And your group of beeks in Southern CA is truly dedicated.

    I will be following your blog daily and have just gone through ALL your old blogs, and watched many of the videos.

    Is there a Backwards Beekeeper group in Northern CA?

    Not that we know of. Maybe you should start one!

    I started beekeepeing going the all natural, chemical/treatment-free method as well.
    Foundationless with starter strips.

    Thanks and looking forward to your future blogs!

    Jack Ip

    Jack blogs at Los Altos Honey Bees.